Petitions and Communications received from April 4 through noon on April 10, for reference by the President to Committee considering related matters or to be ordered filed by the Clerk on April 15, 2002.
From various City Departments, regarding the use of Special Assistant positions. Copy: Supervisor Daly(1) San Francisco International Airport (Reference No. 20020304-014) Department of Administrative Services (Reference No. 20020304-058) Department of Aging and Adult Services (Reference No. 20020304-044) Department of Building Inspection (Reference No. 20020304-031) Department of Child Support Services (Reference No. 20020304-067) Department of Consumer Assurance (Reference No. 20020304-050) Office of Contract Administration (Reference No. 20020304-058) Emergency Communications Department (Reference No. 20020304-008) Fire Department (Reference No. 20020304-024) Housing Authority (Reference No. 20020304-018) Department of Human Resources (Reference No. 20020304-034) Department of Parking and Traffic (Reference No. 20020304-035) Department of Public Health (Reference No. 20020304-047) Office of the Treasurer & Tax Collector (Reference No. 20020304-029) Public Transportation Department (MUNI) (Reference No. 20020304-025)
From Department of Human Resources, submitting quarterly report of economic settlements for the quarter January 1, 2002 - March 31, 2002.(2)
From Office of the Controller, submitting report concerning the concession review of the San Francisco Forty Niners for the 1998 through 2000 Football Season.(3)
From Department of Public Health, submitting report regarding illegal discharges of hazardous waste.(4)
From San Francisco Grand Jury, confirming discussion between the Clerk of the Board and Jane Hebler and John Hentz of the Civil Grand Jury (March 29, 2002) relative to the handling of Civil Grand Jury recommendations. Copy: Supervisor Ammiano(5)
From Controller’s Audits Division, submitting audit report of the department head transition at the Office of the City Attorney.(6)
From Office of the Legislative Analyst, submitting report on San Francisco’s existing policies and expenditures related to independent living of senior’s and person’s with disabilities, as well as those policies in other jurisdictions. Copy: Supervisor Daly(7)
From Office of Contract Administration, submitting proposed departmental budget for fiscal year 2002/03. Copy: Budget Committee(8)
From Clerk of the Board, submitting notice that a copy of the Board of Supervisors’ budget was given to each Supervisor.Copy: Budget Committee(9)
From various City Departments, regarding the use of public relations personnel. Copy: Supervisor McGoldrick, Budget Analyst(10) San Francisco Unified School District (Reference No. 20020128-021) Fire Department (Reference No. 20020128-026)
From Department of Parking and Traffic, submitting notice that DPT Bicycle Program has suspended providing a representative to attend Bicycle Advisory Committee meetings because the meetings have become increasingly contentious and focus almost exclusively on procedural issues.Copy: Each Supervisor(11)
From Office of the City Administrator, submitting review of "The Electricity Resource Plan" by the Potrero Power Plant Citizens Advisory Task Force. Copy: Each Supervisor(12)
From Fire Department, submitting Fire/Life Safety Inspection report of Taraval Police Station at 2345 - 24th Avenue.(13)
From Office of the Treasurer, submitting reports on the Cash Difference and Overage Funds for the period ending March 31, 2002.(14)
From Assessment Appeals Board, transmitting summary list of the major appeals currently pending before the Assessment Appeals Board. Copy: Each Supervisor(15)
From Office of the Mayor, submitting copy of minutes from the State Legislation Committee meeting of April 3, 2002.(16)
From Budget Analyst, submitting Budget Analyst Activity Status Report for the Quarter ending March 31, 2002.(17)
From David Maul, urging the Board to fully fund the Ethics Commission, including their $290,000 "FY03 Enhancements needed," plus provide a full $1.5 million for the Prop O (Public Campaign Financing) Program. Copy: Budget Committee(18)
From Carol Issacs, submitting support for preservation of the Musee Mecanique for future generations to enjoy.(19)
From David Stensby, submitting support for Supervisor Newsom’s homeless plan. Copy: Each Supervisor(20)
From City Clerks Association of California, submitting newsletter entitled "The Official Word" dated April 2002.(21)
From US Army Corps of Engineers, regarding request to place landfill into 2.42 acres of jurisdictional waters of seasonal wetlands for the purpose of constructing Southwest Estates, a residential subdivision development project located at 575 Bellevue Avenue, in southwest Santa Rosa, Sonoma County.(22)
From Towers Perrin, regarding 2002/03 health plan benefits, rates and contributions for the 2002/03 plan year. Copy: Finance and Labor Committee(23)
From various signators, submitting Form 700 Statement of Economic Interests: (24) Bronwen Trice Nathan Purkiss Angela Calvillo Brad Benson Rachel Redondiez Jerry Threet Dawn Duran William Barnes Arthur Louie
From Department of Consumer Assurance, submitting report regarding the overall mission and goals of the Department of Consumer Assurance.(25)
From Department of Human Resources, submitting proposed departmental budget for fiscal year 2002/03. Copy: Budget Committee(26)
From Office of the Assessor-Recorder, submitting proposed departmental budget for fiscal year 2002/03. Copy: Budget Committee(27)
From Darien Werfhorst, commenting on the dangerous traffic situation at the corner of Bryant and Cesar Chavez Streets. Copy: Supervisor Ammiano(28)
From Department of Parking and Traffic, regarding the impact of installing additional Stop signs at Brazil Avenue and Madrid Street. (Reference No. 20020318-004) Copy: Supervisor Sandoval(29)
From Darnisha Wright, submitting request for a proclamation or certificate of honor for the staff of the Emergency Communications Department in honor of National Telecommunicators Week, April 14-20, 2002. Copy: Each Supervisor(30)
From Sharon Moliere, submitting suggestions on ways to reduce gas prices in the Bay Area. (31)
From John Jenkin, submitting two issues of newsletter entitled "Abuse News" dated April 5, 2002.(32)
From Candice Keller, commenting on the increase in billboards going up along the Bay Bridge approach.(33)
From San Francisco City and County Employees’ Retirement System, regarding Ordinance amending Administrative Code Section 16.37-1 to provide for the setting of interest rates. File 012003, Copy: Finance and Labor Committee (34)
From Office of the Treasurer, submitting report of the investment activity (for fiscal year to date) of portfolio statistics under management.(35)
_Next to the page, the page also holds crystal structures_
<<<
Record 1
DyMgTl: relaxed, GGA-PBE.

- Raw total energy: -9.54 eV per formula unit
- Volume: 232.0 Å³/cell
- Energy relative to the elements: -0.323 eV/atom
- Calculated density: 8.40 g/cm³

Cell: 7.5712 7.5712 4.6734 Å, 90.00 90.00 120.00°
With the nearest neighbours (Å) after each atom.
Fractional positions:
Tl  0.3333  0.6667  0.5000  3 Mg 2.93, 6 Dy 3.24
Tl  0.6667  0.3333  0.5000  3 Mg 2.93, 6 Dy 3.24
Tl  0.0000  0.0000  0.0000  6 Mg 2.97, 3 Dy 3.25
Dy  0.5708  0.0000  0.0000  5 Tl 3.24-3.25, 2 Mg 3.41
Dy  0.0000  0.5708  0.0000  5 Tl 3.24-3.25, 2 Mg 3.41
Dy  0.4292  0.4292  0.0000  5 Tl 3.24-3.25, 2 Mg 3.41
Mg  0.0000  0.2422  0.5000  4 Tl 2.93-2.97, 2 Mg 3.18
Mg  0.7578  0.7578  0.5000  4 Tl 2.93-2.97, 2 Mg 3.18
Mg  0.2422  0.0000  0.5000  4 Tl 2.93-2.97, 2 Mg 3.18

***

Record 2
DyMgZn2: relaxed, GGA-PBE.

- Raw total energy: -10.11 eV per formula unit
- Volume: 79.6 Å³/cell
- Energy relative to the elements: -0.346 eV/atom
- Calculated density: 6.62 g/cm³

Cell: 4.8289 4.8289 4.8289 Å, 60.00 60.00 60.00°
With the nearest neighbours (Å) after each atom.
Fractional positions:
Dy  0.5000  0.5000  0.5000  8 Zn 2.96
Mg  0.0000  0.0000  0.0000  8 Zn 2.96
Zn  0.7500  0.7500  0.7500  4 Mg 2.96, 4 Dy 2.96
Zn  0.2500  0.2500  0.2500  4 Dy 2.96, 4 Mg 2.96

***

Record 3
DyMn12: relaxed, GGA-PBE.

- Raw total energy: -114.60 eV per formula unit
- Volume: 160.8 Å³/cell
- Energy relative to the elements: -0.004 eV/atom
- Calculated density: 8.48 g/cm³

Cell: 6.3052 6.3052 6.3052 Å, 97.98 97.98 136.26°
With the nearest neighbours (Å) after each atom.
Fractional positions:
Mn  0.0000  0.3651  0.3651  1 Mn 2.23
Mn  0.3651  0.0000  0.3651  1 Mn 2.23
Mn  0.5000  0.0000  0.0000  10 Mn 2.35-2.56
Mn  0.2705  0.5000  0.7705  8 Mn 2.38-2.60
Mn  0.0000  0.5000  0.0000  10 Mn 2.35-2.56
Mn  0.7295  0.5000  0.2295  8 Mn 2.38-2.60
Mn  0.6349  0.0000  0.6349  1 Mn 2.23
Mn  0.0000  0.0000  0.5000  10 Mn 2.35-2.56
Mn  0.5000  0.7295  0.2295  8 Mn 2.38-2.60
Mn  0.0000  0.6349  0.6349  1 Mn 2.23
Mn  0.5000  0.5000  0.5000  10 Mn 2.35-2.56
Mn  0.5000  0.2705  0.7705  8 Mn 2.38-2.60
Dy  0.0000  0.0000  0.0000  20 Mn 3.02-3.15

***

What did the first record say?
DyMgTl: relaxed, GGA-PBE.

- Raw total energy: -9.54 eV per formula unit
- Volume: 232.0 Å³/cell
- Energy relative to the elements: -0.323 eV/atom
- Calculated density: 8.40 g/cm³

Cell: 7.5712 7.5712 4.6734 Å, 90.00 90.00 120.00°
With the nearest neighbours (Å) after each atom.
Fractional positions:
Tl  0.3333  0.6667  0.5000  3 Mg 2.93, 6 Dy 3.24
Tl  0.6667  0.3333  0.5000  3 Mg 2.93, 6 Dy 3.24
Tl  0.0000  0.0000  0.0000  6 Mg 2.97, 3 Dy 3.25
Dy  0.5708  0.0000  0.0000  5 Tl 3.24-3.25, 2 Mg 3.41
Dy  0.0000  0.5708  0.0000  5 Tl 3.24-3.25, 2 Mg 3.41
Dy  0.4292  0.4292  0.0000  5 Tl 3.24-3.25, 2 Mg 3.41
Mg  0.0000  0.2422  0.5000  4 Tl 2.93-2.97, 2 Mg 3.18
Mg  0.7578  0.7578  0.5000  4 Tl 2.93-2.97, 2 Mg 3.18
Mg  0.2422  0.0000  0.5000  4 Tl 2.93-2.97, 2 Mg 3.18

***
>>>
_The crystal structures stop here_
From Office of the Controller, Audits Division, submitting report concerning the concession audit of Fishermen’s Grotto.(36)
From Arthur Evans, submitting request that Gwenn Craig step down as Chair of the Redistricting Task Force. Copy: Each Supervisor(37)
From Fairway Builders Incorporated, submitting request for review of policies and procedures of the San Francisco Building Department. Copy: Each Supervisor(38)
From Gray Panthers, regarding the night of Martin Luther King Day, five children ages 12 to 14 allegedly were terrorized in front of their homes by San Francisco Police officers.(39)
From Port of San Francisco, submitting proposed departmental budget for fiscal year 2002/03. Copy: Budget Committee(40)
From Senate Rules Committee, submitting re-appointment of Russell Jeffries of Salinas and Jeffrey Young of Santa Barbara; and appointment of Daniel Press of Santa Cruz; Marco Rizzo of San Luis Obispo; and Donald Villeneuve of Cambria as members of the Water Quality Control Board, Central Coast Region. (41)
From Department of Human Services, regarding the implementation of the Electronic Benefit Transfer System for all food stamp recipients. (Reference No. 20020219-003) Copy: Supervisor Newsom(42)
From Department of Public Works, submitting notice that appellants ’signature with respect to 2696 Geary Boulevard represents owners of less than 20% and are therefore insufficient for appeal.(43)
From Fran Fostey, regarding the issuance of parking tickets by the Department of Parking and Traffic. Copy: Department of Parking and Traffic(44)
From San Francisco Unified School District, submitting Quarterly Report and Bond Issuance Documents for 1997 Proposition A.(45)
From Civil Service Commission, submitting annual report for fiscal year 2000/01.(46)
From Department of Telecommunications and Information Services, regarding CableRunner’s Application for a Franchise and License to Install Fiber Optic Facilities in the sewer system and public right-of-way in San Francisco. (47)
From concerned citizens, requesting the Board hold new hearings on animal testing at UCSF and do everything in the Board’s power to compel ECSF to end Stephen Lisberger’s cruel and outdated experiments. Approximately 3000 letters and postcards(48)
From concerned citizens, submitting support for full funding of senior programs in the Department of Aging and Adult Services budget. 7 postcards(49)